_Source_
# 1
VASP calculation (PBE) on AcTb3Tl2 after structural relaxation.

Values from the calculation:
As for the crystal system: monoclinic. Its formation energy from the elements is -16.9 kJ/mol of atoms. Its space-group type is C2/m.

Lattice parameters (Å, degrees): 5.4942 9.6176 9.4105 123.90 90.00 106.60
Atoms (fractional coordinates):
Tl  0.4926  0.9852  0.1517
Tb  0.0630  0.1260  0.4126
Tl  0.2219  0.4437  0.8394
Tb  0.3857  0.7714  0.3033
Tb  0.3047  0.6095  0.5941
Ac  0.8689  0.7377  0.9154
Tb  0.9370  0.8740  0.5874
Tb  0.6143  0.2286  0.6967
Tl  0.5074  0.0148  0.8483
Tb  0.6953  0.3905  0.4059
Ac  0.1311  0.2623  0.0846
Tl  0.7781  0.5563  0.1606

---

# 2
VASP calculation (PBE) on LiCuP2 after structural relaxation.

Values from the calculation:
As for the crystal system: monoclinic. Its formation energy from the elements is -0.6 kJ/mol of atoms. Its space-group type is C2/m. The calculation puts the energy above the most stable polymorph in this dataset at 158.3 meV per atom.

Lattice parameters (Å, degrees): 4.6003 4.6003 2.6577 87.13 87.13 106.99
Atoms (fractional coordinates):
Cu  0.5000  0.0000  0.5000
P  0.5000  0.5000  0.0000
Li  0.0000  0.5000  0.5000
P  0.0000  0.0000  0.0000

---

formation energy from the elements of number 2 (LiCuP2)? -0.6 kJ/mol of atoms

~~~~~

The following is a DFT calculation (PBE-GGA) of a geometry-optimized Er5Cd structure.

a = 4.8028 Å, b = 4.8220 Å, c = 7.8155 Å
α = 107.97°, β = 90.00°, γ = 90.00°
Sites, in units of the cell vectors:
Cd (0.0000, 0.0000, 0.0000)
Er (0.5000, 0.8313, 0.6625)
Er (0.0000, 0.3366, 0.6732)
Er (0.5000, 0.5000, 0.0000)
Er (0.5000, 0.1687, 0.3375)
Er (0.0000, 0.6634, 0.3268)

Calculated values
The symmetry is Cmmm, No. 65. Its energy of formation from the pure elements is -0.32 eV/f.u.

=====

The following is a DFT calculation (PBE-GGA) of a geometry-optimized Mn3SnH structure.

a = 4.4205 Å, b = 4.4205 Å, c = 7.7533 Å
α = 90.00°, β = 90.00°, γ = 120.00°
Sites, in units of the cell vectors:
Mn (0.0000, 0.0000, 0.7500)
Mn (0.3333, 0.6667, 0.4114)
H (0.0000, 0.0000, 0.5000)
Mn (0.6667, 0.3333, 0.9114)
Sn (0.6667, 0.3333, 0.2500)
Mn (0.6667, 0.3333, 0.5886)
H (0.0000, 0.0000, 0.0000)
Sn (0.3333, 0.6667, 0.7500)
Mn (0.0000, 0.0000, 0.2500)
Mn (0.3333, 0.6667, 0.0886)

Calculated values
The symmetry is P6_3/mmc, No. 194.

=====

The following is a DFT calculation (PBE-GGA) of a geometry-optimized La2MgZr structure.

a = 8.1412 Å, b = 5.8519 Å, c = 3.5353 Å
α = 90.02°, β = 64.23°, γ = 124.35°
Sites, in units of the cell vectors:
Zr (0.5000, 0.5000, 0.0000)
La (0.5000, 0.0000, 0.5000)
La (0.0000, 0.0000, 0.0000)
Mg (0.0000, 0.5000, 0.5000)

Calculated values
The symmetry is Cmmm, No. 65. Its energy of formation from the pure elements is 0.37 eV/f.u.

=====

The following is a DFT calculation (PBE-GGA) of a geometry-optimized LiPm3Ge2 structure.

a = 6.2287 Å, b = 7.9515 Å, c = 7.5222 Å
α = 104.97°, β = 114.46°, γ = 90.00°
Sites, in units of the cell vectors:
Pm (0.8145, 0.9060, 0.6236)
Ge (0.3573, 0.9252, 0.7055)
Li (0.2239, 0.2500, 0.0000)
Ge (0.6518, 0.5748, 0.2945)
Pm (0.6756, 0.2500, 0.0000)
Pm (0.8091, 0.4060, 0.6236)
Li (0.7761, 0.7500, 0.0000)
Ge (0.3482, 0.4252, 0.7055)
Pm (0.3244, 0.7500, 0.0000)
Pm (0.1909, 0.5940, 0.3764)
Pm (0.1855, 0.0940, 0.3764)
Ge (0.6427, 0.0748, 0.2945)

Calculated values
The symmetry is C2/c, No. 15. Its energy of formation from the pure elements is -2.78 eV/f.u.

=====

The following is a DFT calculation (PBE-GGA) of a geometry-optimized Ce4MgOs structure.

a = 4.7671 Å, b = 4.7681 Å, c = 8.0072 Å
α = 90.00°, β = 90.02°, γ = 90.00°
Sites, in units of the cell vectors:
Os (0.4971, 0.5014, 0.0020)
Ce (0.9972, 0.5013, 0.2090)
Mg (0.9977, 0.0011, 0.5016)
Ce (0.4972, 0.0014, 0.2090)
Ce (0.9971, 0.5013, 0.7948)
Ce (0.4973, 0.0013, 0.7948)

Calculated values
The symmetry is P4/mmm, No. 123. Its energy of formation from the pure elements is 1.21 eV/f.u.

=====
_Assignment_
Your job: write out everything above character by character.
_Written answer_
# 1
VASP calculation (PBE) on AcTb3Tl2 after structural relaxation.

Values from the calculation:
As for the crystal system: monoclinic. Its formation energy from the elements is -16.9 kJ/mol of atoms. Its space-group type is C2/m.

Lattice parameters (Å, degrees): 5.4942 9.6176 9.4105 123.90 90.00 106.60
Atoms (fractional coordinates):
Tl  0.4926  0.9852  0.1517
Tb  0.0630  0.1260  0.4126
Tl  0.2219  0.4437  0.8394
Tb  0.3857  0.7714  0.3033
Tb  0.3047  0.6095  0.5941
Ac  0.8689  0.7377  0.9154
Tb  0.9370  0.8740  0.5874
Tb  0.6143  0.2286  0.6967
Tl  0.5074  0.0148  0.8483
Tb  0.6953  0.3905  0.4059
Ac  0.1311  0.2623  0.0846
Tl  0.7781  0.5563  0.1606

---

# 2
VASP calculation (PBE) on LiCuP2 after structural relaxation.

Values from the calculation:
As for the crystal system: monoclinic. Its formation energy from the elements is -0.6 kJ/mol of atoms. Its space-group type is C2/m. The calculation puts the energy above the most stable polymorph in this dataset at 158.3 meV per atom.

Lattice parameters (Å, degrees): 4.6003 4.6003 2.6577 87.13 87.13 106.99
Atoms (fractional coordinates):
Cu  0.5000  0.0000  0.5000
P  0.5000  0.5000  0.0000
Li  0.0000  0.5000  0.5000
P  0.0000  0.0000  0.0000

---

formation energy from the elements of number 2 (LiCuP2)? -0.6 kJ/mol of atoms

~~~~~

The following is a DFT calculation (PBE-GGA) of a geometry-optimized Er5Cd structure.

a = 4.8028 Å, b = 4.8220 Å, c = 7.8155 Å
α = 107.97°, β = 90.00°, γ = 90.00°
Sites, in units of the cell vectors:
Cd (0.0000, 0.0000, 0.0000)
Er (0.5000, 0.8313, 0.6625)
Er (0.0000, 0.3366, 0.6732)
Er (0.5000, 0.5000, 0.0000)
Er (0.5000, 0.1687, 0.3375)
Er (0.0000, 0.6634, 0.3268)

Calculated values
The symmetry is Cmmm, No. 65. Its energy of formation from the pure elements is -0.32 eV/f.u.

=====

The following is a DFT calculation (PBE-GGA) of a geometry-optimized Mn3SnH structure.

a = 4.4205 Å, b = 4.4205 Å, c = 7.7533 Å
α = 90.00°, β = 90.00°, γ = 120.00°
Sites, in units of the cell vectors:
Mn (0.0000, 0.0000, 0.7500)
Mn (0.3333, 0.6667, 0.4114)
H (0.0000, 0.0000, 0.5000)
Mn (0.6667, 0.3333, 0.9114)
Sn (0.6667, 0.3333, 0.2500)
Mn (0.6667, 0.3333, 0.5886)
H (0.0000, 0.0000, 0.0000)
Sn (0.3333, 0.6667, 0.7500)
Mn (0.0000, 0.0000, 0.2500)
Mn (0.3333, 0.6667, 0.0886)

Calculated values
The symmetry is P6_3/mmc, No. 194.

=====

The following is a DFT calculation (PBE-GGA) of a geometry-optimized La2MgZr structure.

a = 8.1412 Å, b = 5.8519 Å, c = 3.5353 Å
α = 90.02°, β = 64.23°, γ = 124.35°
Sites, in units of the cell vectors:
Zr (0.5000, 0.5000, 0.0000)
La (0.5000, 0.0000, 0.5000)
La (0.0000, 0.0000, 0.0000)
Mg (0.0000, 0.5000, 0.5000)

Calculated values
The symmetry is Cmmm, No. 65. Its energy of formation from the pure elements is 0.37 eV/f.u.

=====

The following is a DFT calculation (PBE-GGA) of a geometry-optimized LiPm3Ge2 structure.

a = 6.2287 Å, b = 7.9515 Å, c = 7.5222 Å
α = 104.97°, β = 114.46°, γ = 90.00°
Sites, in units of the cell vectors:
Pm (0.8145, 0.9060, 0.6236)
Ge (0.3573, 0.9252, 0.7055)
Li (0.2239, 0.2500, 0.0000)
Ge (0.6518, 0.5748, 0.2945)
Pm (0.6756, 0.2500, 0.0000)
Pm (0.8091, 0.4060, 0.6236)
Li (0.7761, 0.7500, 0.0000)
Ge (0.3482, 0.4252, 0.7055)
Pm (0.3244, 0.7500, 0.0000)
Pm (0.1909, 0.5940, 0.3764)
Pm (0.1855, 0.0940, 0.3764)
Ge (0.6427, 0.0748, 0.2945)

Calculated values
The symmetry is C2/c, No. 15. Its energy of formation from the pure elements is -2.78 eV/f.u.

=====

The following is a DFT calculation (PBE-GGA) of a geometry-optimized Ce4MgOs structure.

a = 4.7671 Å, b = 4.7681 Å, c = 8.0072 Å
α = 90.00°, β = 90.02°, γ = 90.00°
Sites, in units of the cell vectors:
Os (0.4971, 0.5014, 0.0020)
Ce (0.9972, 0.5013, 0.2090)
Mg (0.9977, 0.0011, 0.5016)
Ce (0.4972, 0.0014, 0.2090)
Ce (0.9971, 0.5013, 0.7948)
Ce (0.4973, 0.0013, 0.7948)

Calculated values
The symmetry is P4/mmm, No. 123. Its energy of formation from the pure elements is 1.21 eV/f.u.

=====